____________
1) The following is a quantum chemistry calculation of the molecule C8H17N3O3, from the OMol25 dataset.

Structure (XYZ):
```
31
C8H17N3O3 | the OMol25 dataset | ωB97M-V with the def2-TZVPD basis set
O 3.9165 4.3300 -1.0588
O 0.4557 0.6566 -1.4857
O 3.4322 3.4053 1.0190
N 1.6755 1.6344 0.1015
N 0.8407 -0.0560 1.9847
N -2.9378 -3.1482 0.1455
C -1.4656 -1.9316 -1.2369
C 0.8421 0.6760 -0.3491
C -2.0171 -0.5977 -0.6784
C 0.1992 -0.3480 0.6848
C 3.2434 3.4945 -0.1614
C -1.6069 -3.0409 -0.2580
C -1.3870 -0.2829 0.6873
C 2.0076 2.7046 -0.7186
H 2.2861 2.4968 -1.9055
H -1.2271 -3.9609 -0.7552
H 4.6639 4.7769 -0.5618
H 0.5390 0.9167 2.2606
H -2.8964 -2.5242 1.0951
H 2.2737 1.5494 0.8856
H -0.3581 -1.8646 -1.3720
H -3.1077 -0.6723 -0.6828
H -1.7847 0.2288 -1.4067
H -1.9312 -2.1252 -2.2654
H -0.9276 -3.0363 0.6820
H -1.8530 -1.0121 1.4038
H 0.5756 -1.3704 0.4505
H 0.3338 -0.7235 2.8116
H 1.1107 3.3841 -0.8800
H -3.1029 -4.1620 0.5405
H -1.7924 0.6027 1.0238
```

Summary:
SMILES string: NCCCC[C@H](N)C(=O)NCC(=O)O
HOMO in Eh: -0.345

Let us look at the natural (NBO) charges, expressed in e, one per atom: number 1, O, carries -0.69; number 2, O, carries -0.61; number 3, O, carries -0.59; number 4, N, carries -0.65; number 5, N, carries -0.84; number 6, N, carries -0.82; number 7, C, carries -0.41; number 8, C, carries 0.68; number 9, C, carries -0.42; number 10, C, carries -0.13; number 11, C, carries 0.80; number 12, C, carries -0.23; number 13, C, carries -0.41; number 14, C, carries -0.32; number 15, H, carries 0.23; number 16, H, carries 0.19; number 17, H, carries 0.50; number 18, H, carries 0.35; number 19, H, carries 0.34; number 20, H, carries 0.44; number 21, H, carries 0.21; number 22, H, carries 0.22; number 23, H, carries 0.23; number 24, H, carries 0.22; number 25, H, carries 0.15; number 26, H, carries 0.18; number 27, H, carries 0.22; number 28, H, carries 0.36; number 29, H, carries 0.23; number 30, H, carries 0.36; number 31, H, carries 0.21

***

2) The following is a quantum chemistry calculation of the molecule C8H17N3O3, from the OMol25 dataset.

Structure (XYZ):
```
31
C8H17N3O3 | the OMol25 dataset | ωB97M-V with the def2-TZVPD basis set
O 0.4636 -3.1920 -1.0331
O -1.1703 -0.6615 3.3498
O -2.3481 -1.7217 1.7778
N -0.2981 -1.3780 0.0544
N -1.4301 2.7395 -2.4782
N 2.4030 -0.9594 1.2357
C -1.1231 1.3496 -2.3414
C 0.6521 -2.3046 -0.2335
C -0.6945 1.0654 0.8068
C -0.4207 -0.4048 1.1355
C -1.4021 -0.9719 2.0821
C 0.1588 1.0761 -1.6566
C 0.2790 1.5873 -0.2081
C 2.0833 -2.2217 0.5392
H -1.8529 -1.0327 3.9022
H -0.7859 1.6561 1.7494
H 0.4735 -0.3490 1.7615
H -1.7219 1.0994 0.4180
H -0.6176 3.1796 -2.9296
H 2.7815 -2.5269 -0.3395
H 0.4260 -0.0076 -1.7887
H 3.0976 -0.9917 1.9318
H 1.8395 -3.1175 1.1894
H 2.6747 -0.3499 0.4729
H -2.0261 0.8642 -1.8409
H 1.3271 1.3048 0.1616
H 1.0358 1.5103 -2.2398
H -1.2001 0.6904 -3.3009
H -1.1636 -1.8009 -0.2933
H -1.6318 3.1707 -1.5585
H 0.1910 2.6983 -0.3261
```

Summary:
SMILES string: NCCCC[C@H](NC(=O)CN)C(=O)O
HOMO in Eh: -0.341

Let us look at the natural (NBO) charges, expressed in e, one per atom: number 1, O, carries -0.62; number 2, O, carries -0.67; number 3, O, carries -0.62; number 4, N, carries -0.63; number 5, N, carries -0.83; number 6, N, carries -0.85; number 7, C, carries -0.24; number 8, C, carries 0.69; number 9, C, carries -0.40; number 10, C, carries -0.19; number 11, C, carries 0.79; number 12, C, carries -0.43; number 13, C, carries -0.41; number 14, C, carries -0.34; number 15, H, carries 0.50; number 16, H, carries 0.23; number 17, H, carries 0.29; number 18, H, carries 0.20; number 19, H, carries 0.35; number 20, H, carries 0.21; number 21, H, carries 0.22; number 22, H, carries 0.38; number 23, H, carries 0.23; number 24, H, carries 0.36; number 25, H, carries 0.19; number 26, H, carries 0.20; number 27, H, carries 0.20; number 28, H, carries 0.20; number 29, H, carries 0.43; number 30, H, carries 0.36; number 31, H, carries 0.21

***
____________
Could you give back everything further up unchanged?
1) The following is a quantum chemistry calculation of the molecule C8H17N3O3, from the OMol25 dataset.

Structure (XYZ):
```
31
C8H17N3O3 | the OMol25 dataset | ωB97M-V with the def2-TZVPD basis set
O 3.9165 4.3300 -1.0588
O 0.4557 0.6566 -1.4857
O 3.4322 3.4053 1.0190
N 1.6755 1.6344 0.1015
N 0.8407 -0.0560 1.9847
N -2.9378 -3.1482 0.1455
C -1.4656 -1.9316 -1.2369
C 0.8421 0.6760 -0.3491
C -2.0171 -0.5977 -0.6784
C 0.1992 -0.3480 0.6848
C 3.2434 3.4945 -0.1614
C -1.6069 -3.0409 -0.2580
C -1.3870 -0.2829 0.6873
C 2.0076 2.7046 -0.7186
H 2.2861 2.4968 -1.9055
H -1.2271 -3.9609 -0.7552
H 4.6639 4.7769 -0.5618
H 0.5390 0.9167 2.2606
H -2.8964 -2.5242 1.0951
H 2.2737 1.5494 0.8856
H -0.3581 -1.8646 -1.3720
H -3.1077 -0.6723 -0.6828
H -1.7847 0.2288 -1.4067
H -1.9312 -2.1252 -2.2654
H -0.9276 -3.0363 0.6820
H -1.8530 -1.0121 1.4038
H 0.5756 -1.3704 0.4505
H 0.3338 -0.7235 2.8116
H 1.1107 3.3841 -0.8800
H -3.1029 -4.1620 0.5405
H -1.7924 0.6027 1.0238
```

Summary:
SMILES string: NCCCC[C@H](N)C(=O)NCC(=O)O
HOMO in Eh: -0.345

Let us look at the natural (NBO) charges, expressed in e, one per atom: number 1, O, carries -0.69; number 2, O, carries -0.61; number 3, O, carries -0.59; number 4, N, carries -0.65; number 5, N, carries -0.84; number 6, N, carries -0.82; number 7, C, carries -0.41; number 8, C, carries 0.68; number 9, C, carries -0.42; number 10, C, carries -0.13; number 11, C, carries 0.80; number 12, C, carries -0.23; number 13, C, carries -0.41; number 14, C, carries -0.32; number 15, H, carries 0.23; number 16, H, carries 0.19; number 17, H, carries 0.50; number 18, H, carries 0.35; number 19, H, carries 0.34; number 20, H, carries 0.44; number 21, H, carries 0.21; number 22, H, carries 0.22; number 23, H, carries 0.23; number 24, H, carries 0.22; number 25, H, carries 0.15; number 26, H, carries 0.18; number 27, H, carries 0.22; number 28, H, carries 0.36; number 29, H, carries 0.23; number 30, H, carries 0.36; number 31, H, carries 0.21

***

2) The following is a quantum chemistry calculation of the molecule C8H17N3O3, from the OMol25 dataset.

Structure (XYZ):
```
31
C8H17N3O3 | the OMol25 dataset | ωB97M-V with the def2-TZVPD basis set
O 0.4636 -3.1920 -1.0331
O -1.1703 -0.6615 3.3498
O -2.3481 -1.7217 1.7778
N -0.2981 -1.3780 0.0544
N -1.4301 2.7395 -2.4782
N 2.4030 -0.9594 1.2357
C -1.1231 1.3496 -2.3414
C 0.6521 -2.3046 -0.2335
C -0.6945 1.0654 0.8068
C -0.4207 -0.4048 1.1355
C -1.4021 -0.9719 2.0821
C 0.1588 1.0761 -1.6566
C 0.2790 1.5873 -0.2081
C 2.0833 -2.2217 0.5392
H -1.8529 -1.0327 3.9022
H -0.7859 1.6561 1.7494
H 0.4735 -0.3490 1.7615
H -1.7219 1.0994 0.4180
H -0.6176 3.1796 -2.9296
H 2.7815 -2.5269 -0.3395
H 0.4260 -0.0076 -1.7887
H 3.0976 -0.9917 1.9318
H 1.8395 -3.1175 1.1894
H 2.6747 -0.3499 0.4729
H -2.0261 0.8642 -1.8409
H 1.3271 1.3048 0.1616
H 1.0358 1.5103 -2.2398
H -1.2001 0.6904 -3.3009
H -1.1636 -1.8009 -0.2933
H -1.6318 3.1707 -1.5585
H 0.1910 2.6983 -0.3261
```

Summary:
SMILES string: NCCCC[C@H](NC(=O)CN)C(=O)O
HOMO in Eh: -0.341

Let us look at the natural (NBO) charges, expressed in e, one per atom: number 1, O, carries -0.62; number 2, O, carries -0.67; number 3, O, carries -0.62; number 4, N, carries -0.63; number 5, N, carries -0.83; number 6, N, carries -0.85; number 7, C, carries -0.24; number 8, C, carries 0.69; number 9, C, carries -0.40; number 10, C, carries -0.19; number 11, C, carries 0.79; number 12, C, carries -0.43; number 13, C, carries -0.41; number 14, C, carries -0.34; number 15, H, carries 0.50; number 16, H, carries 0.23; number 17, H, carries 0.29; number 18, H, carries 0.20; number 19, H, carries 0.35; number 20, H, carries 0.21; number 21, H, carries 0.22; number 22, H, carries 0.38; number 23, H, carries 0.23; number 24, H, carries 0.36; number 25, H, carries 0.19; number 26, H, carries 0.20; number 27, H, carries 0.20; number 28, H, carries 0.20; number 29, H, carries 0.43; number 30, H, carries 0.36; number 31, H, carries 0.21

***